Activity.
It remains to transcribe only the last part of the notes further below, starting with the line that has "0.0007 0.3338".

Entries.
********
Record 1
Here is Nb5S8 after structural relaxation from the Materials Project. Energies are from PBE.

abc: 5.8160 5.8160 25.4342
angles: 90.00 90.00 120.00
Closest atoms and distances in Å follow each position.
Fractional coordinates of all 39 atoms:
1 Nb 0.0000 0.0000 0.0000  6 S 2.52
2 Nb 0.0000 0.0000 0.1258  6 S 2.50-2.52
3 Nb 0.0000 0.0000 0.3758  6 S 2.49-2.51
4 Nb 0.0000 0.0000 0.6242  6 S 2.49-2.51
5 Nb 0.0000 0.0000 0.8742  6 S 2.50-2.52
6 Nb 0.3333 0.6667 0.1246  6 S 2.49-2.52
7 Nb 0.3333 0.6667 0.2520  6 S 2.48-2.54
8 Nb 0.3333 0.6667 0.3765  6 S 2.48-2.52
9 Nb 0.3333 0.6667 0.6235  6 S 2.48-2.52
10 Nb 0.3333 0.6667 0.7480  6 S 2.48-2.54
11 Nb 0.3333 0.6667 0.8754  6 S 2.49-2.52
12 Nb 0.6667 0.3333 0.1251  6 S 2.50
13 Nb 0.6667 0.3333 0.3758  6 S 2.49-2.51
14 Nb 0.6667 0.3333 0.6242  6 S 2.49-2.51
15 Nb 0.6667 0.3333 0.8749  6 S 2.50
16 S 0.0007 0.3338 0.6868  4 Nb 2.48-2.52
17 S 0.0007 0.6668 0.3132  4 Nb 2.48-2.52
18 S 0.3333 0.0009 0.5627  3 Nb 2.48-2.49
19 S 0.3333 0.3324 0.4373  3 Nb 2.48-2.49
20 S 0.3332 0.3338 0.3132  4 Nb 2.48-2.52
21 S 0.3332 0.9993 0.6868  4 Nb 2.48-2.52
22 S 0.3345 0.0007 0.0629  4 Nb 2.49-2.52
23 S 0.3347 0.0015 0.1875  4 Nb 2.50-2.54
24 S 0.3347 0.3332 0.8125  4 Nb 2.50-2.54
25 S 0.3345 0.3338 0.9371  4 Nb 2.49-2.52
26 S 0.6662 0.0007 0.9371  4 Nb 2.49-2.52
27 S 0.6662 0.6655 0.0629  4 Nb 2.49-2.52
28 S 0.6662 0.6668 0.6868  4 Nb 2.48-2.52
29 S 0.6662 0.9993 0.3132  4 Nb 2.48-2.52
30 S 0.6668 0.0015 0.8125  4 Nb 2.50-2.54
31 S 0.6668 0.6653 0.1875  4 Nb 2.50-2.54
32 S 0.6676 0.0009 0.4373  3 Nb 2.48-2.49
33 S 0.6676 0.6667 0.5627  3 Nb 2.48-2.49
34 S 0.9991 0.3324 0.5627  3 Nb 2.48-2.49
35 S 0.9985 0.3332 0.1875  4 Nb 2.50-2.54
36 S 0.9993 0.3338 0.0629  4 Nb 2.49-2.52
37 S 0.9985 0.6653 0.8125  4 Nb 2.50-2.54
38 S 0.9993 0.6655 0.9371  4 Nb 2.49-2.52
39 S 0.9991 0.6667 0.4373  3 Nb 2.48-2.49

Record 2
Here is RbEuP4O12 after structural relaxation from the Materials Project. Energies are from PBE.

abc: 10.6597 9.1508 13.0458
angles: 90.00 124.75 90.00
Closest atoms and distances in Å follow each position.
Fractional coordinates of all 72 atoms:
1 Rb 0.2421 0.0657 0.0414  7 O 2.97-3.30
2 Rb 0.2421 0.4343 0.5414  7 O 2.97-3.30
3 Rb 0.7579 0.5657 0.4586  7 O 2.97-3.30
4 Rb 0.7579 0.9343 0.9586  7 O 2.97-3.30
5 Eu 0.3161 0.7263 0.8159  8 O 2.39-2.55
6 Eu 0.3161 0.7737 0.3159  8 O 2.39-2.55
7 Eu 0.6839 0.2263 0.6841  8 O 2.39-2.55
8 Eu 0.6839 0.2737 0.1841  8 O 2.39-2.55
9 P 0.0272 0.0284 0.2764  4 O 1.50-1.63
10 P 0.0272 0.4716 0.7764  4 O 1.50-1.63
11 P 0.1990 0.6032 0.0217  4 O 1.50-1.62
12 P 0.1990 0.8968 0.5217  4 O 1.50-1.62
13 P 0.3203 0.1729 0.3603  4 O 1.50-1.63
14 P 0.3203 0.3271 0.8603  4 O 1.50-1.63
15 P 0.3845 0.0941 0.7404  4 O 1.50-1.63
16 P 0.3845 0.4059 0.2404  4 O 1.50-1.63
17 P 0.6155 0.5941 0.7596  4 O 1.50-1.63
18 P 0.6155 0.9059 0.2596  4 O 1.50-1.63
19 P 0.6797 0.6729 0.1397  4 O 1.50-1.63
20 P 0.6797 0.8271 0.6397  4 O 1.50-1.63
21 P 0.8010 0.1032 0.4783  4 O 1.50-1.62
22 P 0.8010 0.3968 0.9783  4 O 1.50-1.62
23 P 0.9728 0.5284 0.2236  4 O 1.50-1.63
24 P 0.9728 0.9716 0.7236  4 O 1.50-1.63
25 O 0.0434 0.5413 0.8984  2 P 1.62-1.63
26 O 0.0434 0.9587 0.3984  2 P 1.62-1.63
27 O 0.0685 0.5819 0.7145  1 P 1.51
28 O 0.0685 0.9181 0.2145  1 P 1.51
29 O 0.1287 0.5951 0.3027  1 P 1.50
30 O 0.1287 0.9049 0.8027  1 P 1.50
31 O 0.1538 0.1586 0.3370  2 P 1.63
32 O 0.1538 0.3414 0.8370  2 P 1.63
33 O 0.1630 0.7069 0.0909  1 P 1.50
34 O 0.1630 0.7931 0.5909  1 P 1.50
35 O 0.2638 0.0503 0.5962  2 P 1.61-1.62
36 O 0.2638 0.4497 0.0962  2 P 1.61-1.62
37 O 0.2758 0.2081 0.7515  2 P 1.63
38 O 0.2758 0.2919 0.2515  2 P 1.63
39 O 0.3009 0.6582 0.9850  1 P 1.50
40 O 0.3009 0.8418 0.4850  1 P 1.50
41 O 0.3620 0.0336 0.3258  1 P 1.50
42 O 0.3620 0.4664 0.8258  1 P 1.50
43 O 0.4214 0.5356 0.3236  1 P 1.50
44 O 0.4214 0.9644 0.8236  1 P 1.50
45 O 0.4237 0.2412 0.4861  1 P 1.50
46 O 0.4237 0.2588 0.9861  1 P 1.50
47 O 0.4858 0.6767 0.7464  1 P 1.50
48 O 0.4858 0.8233 0.2464  1 P 1.50
********

Completed.
16 S 0.0007 0.3338 0.6868  4 Nb 2.48-2.52
17 S 0.0007 0.6668 0.3132  4 Nb 2.48-2.52
18 S 0.3333 0.0009 0.5627  3 Nb 2.48-2.49
19 S 0.3333 0.3324 0.4373  3 Nb 2.48-2.49
20 S 0.3332 0.3338 0.3132  4 Nb 2.48-2.52
21 S 0.3332 0.9993 0.6868  4 Nb 2.48-2.52
22 S 0.3345 0.0007 0.0629  4 Nb 2.49-2.52
23 S 0.3347 0.0015 0.1875  4 Nb 2.50-2.54
24 S 0.3347 0.3332 0.8125  4 Nb 2.50-2.54
25 S 0.3345 0.3338 0.9371  4 Nb 2.49-2.52
26 S 0.6662 0.0007 0.9371  4 Nb 2.49-2.52
27 S 0.6662 0.6655 0.0629  4 Nb 2.49-2.52
28 S 0.6662 0.6668 0.6868  4 Nb 2.48-2.52
29 S 0.6662 0.9993 0.3132  4 Nb 2.48-2.52
30 S 0.6668 0.0015 0.8125  4 Nb 2.50-2.54
31 S 0.6668 0.6653 0.1875  4 Nb 2.50-2.54
32 S 0.6676 0.0009 0.4373  3 Nb 2.48-2.49
33 S 0.6676 0.6667 0.5627  3 Nb 2.48-2.49
34 S 0.9991 0.3324 0.5627  3 Nb 2.48-2.49
35 S 0.9985 0.3332 0.1875  4 Nb 2.50-2.54
36 S 0.9993 0.3338 0.0629  4 Nb 2.49-2.52
37 S 0.9985 0.6653 0.8125  4 Nb 2.50-2.54
38 S 0.9993 0.6655 0.9371  4 Nb 2.49-2.52
39 S 0.9991 0.6667 0.4373  3 Nb 2.48-2.49

Record 2
Here is RbEuP4O12 after structural relaxation from the Materials Project. Energies are from PBE.

abc: 10.6597 9.1508 13.0458
angles: 90.00 124.75 90.00
Closest atoms and distances in Å follow each position.
Fractional coordinates of all 72 atoms:
1 Rb 0.2421 0.0657 0.0414  7 O 2.97-3.30
2 Rb 0.2421 0.4343 0.5414  7 O 2.97-3.30
3 Rb 0.7579 0.5657 0.4586  7 O 2.97-3.30
4 Rb 0.7579 0.9343 0.9586  7 O 2.97-3.30
5 Eu 0.3161 0.7263 0.8159  8 O 2.39-2.55
6 Eu 0.3161 0.7737 0.3159  8 O 2.39-2.55
7 Eu 0.6839 0.2263 0.6841  8 O 2.39-2.55
8 Eu 0.6839 0.2737 0.1841  8 O 2.39-2.55
9 P 0.0272 0.0284 0.2764  4 O 1.50-1.63
10 P 0.0272 0.4716 0.7764  4 O 1.50-1.63
11 P 0.1990 0.6032 0.0217  4 O 1.50-1.62
12 P 0.1990 0.8968 0.5217  4 O 1.50-1.62
13 P 0.3203 0.1729 0.3603  4 O 1.50-1.63
14 P 0.3203 0.3271 0.8603  4 O 1.50-1.63
15 P 0.3845 0.0941 0.7404  4 O 1.50-1.63
16 P 0.3845 0.4059 0.2404  4 O 1.50-1.63
17 P 0.6155 0.5941 0.7596  4 O 1.50-1.63
18 P 0.6155 0.9059 0.2596  4 O 1.50-1.63
19 P 0.6797 0.6729 0.1397  4 O 1.50-1.63
20 P 0.6797 0.8271 0.6397  4 O 1.50-1.63
21 P 0.8010 0.1032 0.4783  4 O 1.50-1.62
22 P 0.8010 0.3968 0.9783  4 O 1.50-1.62
23 P 0.9728 0.5284 0.2236  4 O 1.50-1.63
24 P 0.9728 0.9716 0.7236  4 O 1.50-1.63
25 O 0.0434 0.5413 0.8984  2 P 1.62-1.63
26 O 0.0434 0.9587 0.3984  2 P 1.62-1.63
27 O 0.0685 0.5819 0.7145  1 P 1.51
28 O 0.0685 0.9181 0.2145  1 P 1.51
29 O 0.1287 0.5951 0.3027  1 P 1.50
30 O 0.1287 0.9049 0.8027  1 P 1.50
31 O 0.1538 0.1586 0.3370  2 P 1.63
32 O 0.1538 0.3414 0.8370  2 P 1.63
33 O 0.1630 0.7069 0.0909  1 P 1.50
34 O 0.1630 0.7931 0.5909  1 P 1.50
35 O 0.2638 0.0503 0.5962  2 P 1.61-1.62
36 O 0.2638 0.4497 0.0962  2 P 1.61-1.62
37 O 0.2758 0.2081 0.7515  2 P 1.63
38 O 0.2758 0.2919 0.2515  2 P 1.63
39 O 0.3009 0.6582 0.9850  1 P 1.50
40 O 0.3009 0.8418 0.4850  1 P 1.50
41 O 0.3620 0.0336 0.3258  1 P 1.50
42 O 0.3620 0.4664 0.8258  1 P 1.50
43 O 0.4214 0.5356 0.3236  1 P 1.50
44 O 0.4214 0.9644 0.8236  1 P 1.50
45 O 0.4237 0.2412 0.4861  1 P 1.50
46 O 0.4237 0.2588 0.9861  1 P 1.50
47 O 0.4858 0.6767 0.7464  1 P 1.50
48 O 0.4858 0.8233 0.2464  1 P 1.50